Request
The reader should filter the block below: keep the lines with the word "Computed".

Given
/*
Record 1
Density functional theory data (PBE-GGA) for a geometry-optimized CePS4 structure.

```
CePS4
1.0
-5.5532 5.5532 9.6962
5.5532 -5.5532 9.6962
5.5532 5.5532 -9.6962
Ce P S
8 8 32
Direct
0.1250 0.3750 0.7500
0.1250 0.8750 0.2500
0.3750 0.1250 0.2500
0.3750 0.6250 0.7500
0.6250 0.3750 0.2500
0.6250 0.8750 0.7500
0.8750 0.1250 0.7500
0.8750 0.6250 0.2500
0.2142 0.2500 0.4642
0.2500 0.2858 0.0358
0.2500 0.7858 0.5358
0.2858 0.7500 0.0358
0.7142 0.2500 0.9642
0.7500 0.2142 0.4642
0.7500 0.7142 0.9642
0.7858 0.7500 0.5358
0.0917 0.8826 0.4780
0.0954 0.3863 0.9780
0.0954 0.6640 0.9349
0.1137 0.4046 0.5220
0.1174 0.0954 0.2091
0.1605 0.0954 0.9314
0.1640 0.5954 0.4349
0.2291 0.1605 0.5651
0.2709 0.8360 0.9314
0.3360 0.7709 0.4314
0.3395 0.2709 0.9349
0.3826 0.5917 0.9780
0.3863 0.9083 0.2909
0.4046 0.3395 0.5686
0.4046 0.3826 0.2909
0.4083 0.8863 0.7909
0.5917 0.1137 0.2091
0.5954 0.6174 0.7091
0.5954 0.6605 0.4314
0.6137 0.0917 0.7091
0.6174 0.4083 0.0220
0.6605 0.7291 0.0651
0.6640 0.2291 0.5686
0.7291 0.1640 0.0686
0.7709 0.8395 0.4349
0.8360 0.4046 0.5651
0.8395 0.9046 0.0686
0.8826 0.9046 0.7909
0.8863 0.5954 0.4780
0.9046 0.3360 0.0651
0.9046 0.6137 0.0220
0.9083 0.1174 0.5220
```

Computed properties:
The calculation puts the total energy after the MP2020 corrections at -6.01 eV/atom. Its magnetic moment is 0.167 μB/atom. For the energy of formation from the pure elements, the calculation gives -1.361 eV/atom. For the raw total energy, the calculation gives -0.209 hartree per atom.

Record 2
Density functional theory data (PBE-GGA) for a geometry-optimized Cd3PI3 structure.

```
Cd3PI3
1.0
7.4250 0.0000 0.0000
0.0000 4.5133 0.0000
-0.1376 0.0000 7.8651
Cd P I
3 1 3
Direct
0.0000 0.0000 0.0000
0.0256 0.5000 0.5852
0.5714 0.5000 0.8671
0.9095 0.5000 0.8830
0.4061 0.5000 0.5359
0.4083 0.0000 0.0539
0.8973 0.0000 0.3738
```

Computed properties:
The calculation puts the total energy after the MP2020 corrections at -2.42 eV/atom. For the energy of formation from the pure elements, the calculation gives -0.597 eV/atom. For the raw total energy, the calculation gives -0.083 hartree per atom. As for the maximum piezoelectric response: 0.687 C/m².

Record 3
Density functional theory data (PBE-GGA) for a geometry-optimized FeNi2Ge structure.

```
FeNi2Ge
1.0
3.5180 0.0000 0.0000
0.0000 3.5180 0.0000
0.0000 0.0000 3.6753
Fe Ni Ge
1 2 1
Direct
0.0000 0.0000 0.0000
0.0000 0.5000 0.5000
0.5000 0.0000 0.5000
0.5000 0.5000 0.0000
```

Computed properties:
Its magnetic moment is 0.578 μB/atom. For the energy of formation from the pure elements, the calculation gives -0.162 eV/atom. For the raw total energy, the calculation gives -0.232 hartree per atom.


Computed, not measured: Ba6CdAg2Sn4S16 after structural relaxation at the PBE-GGA level of DFT.

```
data_Ba6CdAg2Sn4S16
_chemical_formula_sum 'Ba24 Cd4 Ag8 Sn16 S64'
_cell_length_a 14.968
_cell_length_b 14.968
_cell_length_c 14.925
_cell_angle_alpha 90.00
_cell_angle_beta 90.00
_cell_angle_gamma 90.00
_space_group_name_H-M_alt 'I -4 2 d'
_space_group_IT_number 122
_space_group_name_Hall 'I -4 2bw'
loop_
_atom_site_label
_atom_site_type_symbol
_atom_site_fract_x
_atom_site_fract_y
_atom_site_fract_z
Ba1 Ba 0.000 0.000 0.142
Ba2 Ba 0.018 0.250 0.625
Ba3 Ba 0.231 0.750 0.125
Cd1 Cd 0.000 0.000 0.500
Ag1 Ag 0.125 0.250 0.125
Sn1 Sn 0.024 0.730 0.897
S1 S 0.067 0.166 0.983
S2 S 0.083 0.139 0.441
S3 S 0.109 0.684 0.461
S4 S 0.114 0.635 0.988
```

Output
energy of formation from the pure elements	-1.4301	eV/atom
magnetic moment	0.00	μB/cell
V	3344	Å³ per cell

=====

Computed, not measured: ScU8S17 after structural relaxation at the PBE-GGA level of DFT.

```
data_ScU8S17
_chemical_formula_sum 'Sc2 U16 S34'
_cell_length_a 13.235
_cell_length_b 8.410
_cell_length_c 10.500
_cell_angle_alpha 90.00
_cell_angle_beta 101.12
_cell_angle_gamma 90.00
_space_group_name_H-M_alt 'C 1 2/m 1'
_space_group_IT_number 12
loop_
_space_group_symop_operation_xyz
'x,y,z'
'-x,-y,-z'
'-x,y,-z'
'x,-y,z'
*/

Worked solution
Computed properties:
Computed properties:
Computed properties:
Computed, not measured: Ba6CdAg2Sn4S16 after structural relaxation at the PBE-GGA level of DFT.
Computed, not measured: ScU8S17 after structural relaxation at the PBE-GGA level of DFT.